== Work order ==
Find the line further below that holds "1.6130", then duplicate that line and all lines after it there.

== Excerpt ==
/*
The following is a quantum chemistry calculation of a 2-piece molecular cluster, C12H17N overall, from the OMol25 dataset.

Values from the calculation:
**Energy above the lowest of the compared OMol25 structures with the same formula, charge and spin**: 0.2223 eV
**Net charge**: -1
**Lowest unoccupied orbital energy (alpha / beta)**: 3.502 / 3.498 eV
**Multiplicity**: 2
**Orbital gap (alpha / beta)**: 3.04 / 6.39 eV
**Maximum force**: 2.108 eV/A
**E_HOMO (alpha / beta)**: 0.46 / -2.89 eV

CARTESIAN COORDINATES (ANGSTROEM)
C1 -3.109 -1.472 0.472
C2 -2.939 0.002 0.017
C3 -4.397 -1.537 1.286
H1 -3.050 -2.122 -0.393
H2 -2.237 -1.620 1.101
H3 -3.722 0.298 -0.681
H4 -4.405 -0.728 2.021
H5 -5.291 -1.418 0.681
H6 -1.951 0.220 -0.380
H7 -3.011 0.654 0.888
H8 -4.459 -2.474 1.851
C4 3.692 2.642 0.159
C5 1.645 -0.476 0.129
C6 2.045 0.736 -0.470
C7 3.101 1.282 0.308
C8 3.381 0.390 1.317
C9 0.699 -1.311 -0.446
C10 0.180 -0.919 -1.729
C11 0.442 0.338 -2.267
C12 1.295 1.218 -1.600
N1 2.406 -0.642 1.299
H9 0.222 -2.123 0.085
H10 -0.313 -1.637 -2.380
H11 2.682 -1.601 1.452
H12 0.003 0.627 -3.216
H13 4.052 0.431 2.167
H14 1.497 2.236 -1.907
H15 3.858 2.920 -0.894
H16 4.670 2.692 0.602
H17 3.013 3.396 0.529

And the Mulliken charges, in e, turn out to be:
1. C 0.003
2. C -0.968
3. C -1.235
4. H 0.310
5. H 0.150
6. H 0.324
7. H 0.318
8. H 0.327
9. H 0.073
10. H 0.326
11. H 0.343
12. C -1.344
13. C 0.154
14. C 0.567
15. C 0.578
16. C -0.886
17. C -1.051
18. C -0.660
19. C -0.319
20. C -0.738
21. N -0.223
22. H 0.372
23. H 0.277
24. H 0.299
25. H 0.360
26. H 0.397
27. H 0.299
28. H 0.323
29. H 0.374
30. H 0.250

~~~~~

112
Properties=species:S:1:pos:R:3 method="wB97M-V/def2-TZVPD" charge=0 e_above_lowest_kcal_mol=31.20 homo_ev=-6.59
Cu 0.8546 -0.7218 -0.0952
C 5.4766 -3.8679 -2.6150
C 5.5353 -3.8514 -1.0691
C 6.7528 -4.6477 -0.6076
C 5.6149 -2.3940 -0.6293
C 6.8011 -1.6782 -0.5222
C 6.8085 -0.3141 -0.2524
C 5.6141 0.3661 -0.0765
C 4.4096 -0.3241 -0.1434
P 2.7929 0.4733 0.1286
C 2.9375 1.9930 -0.8667
C 3.1787 3.2543 -0.3367
C 3.1779 4.3711 -1.1654
C 2.9360 4.2337 -2.5229
C 2.7058 2.9735 -3.0645
C 2.6989 1.8601 -2.2388
C 2.8406 1.0047 1.8737
C 3.7079 0.4303 2.7991
C 3.5721 0.7121 4.1545
C 2.5639 1.5550 4.5936
C 1.6873 2.1256 3.6770
C 1.8197 1.8507 2.3253
C 4.4417 -1.6844 -0.4248
O 3.2215 -2.2902 -0.4831
C 3.1195 -3.6479 -0.3653
C 1.8559 -4.1209 -0.0293
C 1.7071 -5.4968 0.1095
C 2.7942 -6.3420 -0.0482
C 4.0415 -5.8247 -0.3763
C 4.2302 -4.4618 -0.5571
P 0.4441 -2.9494 0.2578
C 0.0358 -3.3194 2.0062
C 0.9966 -3.8843 2.8520
C 0.7687 -3.9674 4.2204
C -0.4111 -3.4783 4.7630
C -1.3655 -2.9055 3.9308
C -1.1435 -2.8151 2.5635
C -0.7947 -3.6675 -0.8666
C -1.5390 -4.8062 -0.5843
C -2.4154 -5.3205 -1.5299
C -2.5566 -4.6980 -2.7609
C -1.8258 -3.5519 -3.0467
C -0.9488 -3.0398 -2.1021
H 6.3847 -3.4257 -3.0360
H 4.6170 -3.2968 -2.9746
H 5.3800 -4.8951 -2.9783
H 7.6709 -4.2200 -1.0118
H 6.7021 -5.6743 -0.9713
H 6.8256 -4.6661 0.4822
H 7.7482 -2.1846 -0.6630
H 7.7501 0.2159 -0.1893
H 5.6111 1.4318 0.1265
H 3.3557 3.3718 0.7262
H 3.3558 5.3526 -0.7436
H 2.9097 5.1097 -3.1588
H 2.5077 2.8626 -4.1237
H 2.4914 0.8763 -2.6529
H 4.4896 -0.2420 2.4631
H 4.2540 0.2641 4.8678
H 2.4520 1.7626 5.6507
H 0.8874 2.7696 4.0203
H 1.1236 2.2823 1.6130
H 0.7387 -5.9088 0.3631
H 2.6722 -7.4110 0.0822
H 4.8736 -6.5074 -0.4988
H 1.9292 -4.2599 2.4517
H 1.5222 -4.4095 4.8622
H -0.5835 -3.5390 5.8316
H -2.2850 -2.5074 4.3463
H -1.8851 -2.3532 1.9175
H -1.4736 -5.2704 0.3950
H -2.9963 -6.2045 -1.2978
H -3.2510 -5.0937 -3.4922
H -1.9654 -3.0378 -3.9896
H -0.4077 -2.1227 -2.3090
Br -0.5221 1.5283 -0.7335
C -6.3807 1.8509 -3.7693
C -5.1707 2.7790 -3.8751
C -4.4482 2.9884 -2.5420
C -3.8842 1.6804 -1.9698
Ge -2.8742 1.9752 -0.3512
C -3.1476 1.6362 1.5459
C -4.4411 2.2858 2.0560
C -5.7099 1.6387 1.4875
C -5.9643 0.2416 2.0541
H -6.8893 1.7598 -4.7322
H -7.1026 2.2386 -3.0431
H -6.0923 0.8472 -3.4480
H -5.4945 3.7518 -4.2534
H -4.4589 2.3731 -4.6022
H -5.1454 3.4399 -1.8259
*/

== Reply ==
H 1.1236 2.2823 1.6130
H 0.7387 -5.9088 0.3631
H 2.6722 -7.4110 0.0822
H 4.8736 -6.5074 -0.4988
H 1.9292 -4.2599 2.4517
H 1.5222 -4.4095 4.8622
H -0.5835 -3.5390 5.8316
H -2.2850 -2.5074 4.3463
H -1.8851 -2.3532 1.9175
H -1.4736 -5.2704 0.3950
H -2.9963 -6.2045 -1.2978
H -3.2510 -5.0937 -3.4922
H -1.9654 -3.0378 -3.9896
H -0.4077 -2.1227 -2.3090
Br -0.5221 1.5283 -0.7335
C -6.3807 1.8509 -3.7693
C -5.1707 2.7790 -3.8751
C -4.4482 2.9884 -2.5420
C -3.8842 1.6804 -1.9698
Ge -2.8742 1.9752 -0.3512
C -3.1476 1.6362 1.5459
C -4.4411 2.2858 2.0560
C -5.7099 1.6387 1.4875
C -5.9643 0.2416 2.0541
H -6.8893 1.7598 -4.7322
H -7.1026 2.2386 -3.0431
H -6.0923 0.8472 -3.4480
H -5.4945 3.7518 -4.2534
H -4.4589 2.3731 -4.6022
H -5.1454 3.4399 -1.8259